An isolated molecule of C4H7P in a non-equilibrium geometry, computed with ωB97M-V with the def2-TZVPD basis set.

Calculated values
Kohn-Sham gap (alpha / beta)   8.235 / 7.923 eV
Relative energy (zero: lowest compared OMol25 entry of this formula, charge and spin)   105.6 kcal per mole
M   86.07 g mol⁻¹
LUMO (alpha / beta)   -0.0222 / -0.0050 Eh
Structure (SMILES)   C=PC1CC1
HOMO level (alpha / beta)   -8.840 / -8.060 eV

Last column: Mulliken charge in e.
Positions of all 12 atoms, in Å:
C: 1.93 -1.03 1.64  -0.722
C: -0.44 1.24 -1.00  -0.623
C: -1.43 0.10 -0.81  -0.597
C: -0.25 0.11 -0.02  -0.113
P: 1.05 -1.05 -0.42  0.074
H: 2.56 -1.86 2.02  0.321
H: 1.18 -0.79 2.30  0.265
H: 0.04 1.12 -2.00  0.257
H: -0.58 2.16 -0.58  0.289
H: -2.47 0.36 -0.53  0.250
H: -1.29 -0.51 -1.68  0.295
H: -0.32 0.14 1.08  0.303

----------

1.
DFT (the ωB97M-V functional and the def2-TZVPD basis) results for a cluster of 9 separate species, C24H33Cl8N5 in total in a non-equilibrium geometry.

Output
highest occupied orbital energy = -0.3034 Eh
total charge = 0
multiplicity = 1
gap between HOMO and LUMO = 0.31909 hartree
SMILES = c1cc[nH]c1.c1cc[nH]c1.c1cc[nH]c1.c1cc[nH]c1.c1cc[nH]c1.ClCCl.ClCCl.ClCCl.ClCCl

CARTESIAN COORDINATES (ANGSTROEM)
C 2.687 3.923 -0.820
C 2.866 4.258 -2.193
C 2.368 3.283 -3.008
N 1.883 2.332 -2.147
C 2.077 2.686 -0.831
H 2.981 4.517 0.023
H 3.263 5.201 -2.493
H 2.229 3.234 -4.085
H 1.495 1.443 -2.471
H 1.715 1.962 -0.102
C -3.121 3.424 0.192
C -2.680 3.888 1.457
C -1.304 3.999 1.346
N -0.976 3.834 0.035
C -2.047 3.497 -0.690
H -4.110 3.219 -0.175
H -3.269 4.084 2.339
H -0.597 4.265 2.102
H -0.029 3.926 -0.322
H -2.062 3.281 -1.762
C 0.320 -1.030 1.489
C -0.309 -0.217 2.472
C -1.065 0.692 1.813
N -1.166 0.285 0.514
C -0.285 -0.748 0.289
H 1.067 -1.775 1.625
H -0.131 -0.210 3.538
H -1.684 1.484 2.138
H -1.594 0.821 -0.211
H -0.207 -1.274 -0.646
C 2.156 -0.898 -2.314
C 1.360 -0.513 -3.437
C 2.183 -0.058 -4.431
N 3.469 -0.287 -3.997
C 3.469 -0.733 -2.704
H 1.760 -1.290 -1.387
H 0.295 -0.496 -3.547
H 1.920 0.226 -5.465
H 4.252 0.299 -4.331
H 4.364 -1.011 -2.179
C -4.625 -2.270 2.785
C -4.724 -2.009 1.359
C -3.476 -2.206 0.877
N -2.645 -2.494 1.918
C -3.330 -2.559 3.085
H -5.456 -2.253 3.460
H -5.698 -1.962 0.827
H -3.159 -2.346 -0.126
H -1.669 -2.633 1.894
H -2.829 -2.951 3.941
Cl 4.583 1.453 1.598
C 3.727 0.078 0.884
Cl 4.311 -1.443 1.471
H 2.660 0.150 1.128
H 3.890 0.118 -0.188
Cl -1.173 -5.451 -0.042
C -0.370 -5.053 -1.543
Cl 1.366 -5.262 -1.470
H -0.740 -5.712 -2.300
H -0.584 -3.999 -1.761
Cl 1.994 -3.273 4.418
C 3.374 -2.907 5.413
Cl 3.003 -2.651 7.127
H 4.059 -3.755 5.361
H 3.817 -1.995 4.989
Cl -2.388 0.057 -2.537
C -4.061 -0.036 -1.986
Cl -5.103 -0.198 -3.403
H -4.142 -0.858 -1.312
H -4.152 0.895 -1.492

2.
DFT (the ωB97M-V functional and the def2-TZVPD basis) results for a cluster of 4 separate species, C24H33F2N2O13P2 in total in a non-equilibrium geometry.

Output
highest occupied orbital energy = -0.4008 Eh
total charge = +1
multiplicity = 1
gap between HOMO and LUMO = 0.20204 hartree

CARTESIAN COORDINATES (ANGSTROEM)
C 1.832 -4.021 3.771
P 0.272 -3.736 2.736
C -0.323 -1.943 2.768
C 0.420 -4.420 0.990
C 0.775 -3.622 -0.305
C 1.015 -2.046 -0.244
O 2.036 -1.475 0.218
O -0.037 -1.240 -0.804
C 0.517 -0.096 -1.526
C -0.593 0.531 -2.544
C -0.086 1.832 -3.363
F 0.715 1.330 -4.491
C 0.887 -4.402 -1.652
F 1.171 -3.759 -2.876
C 0.631 -5.932 -1.632
N 0.297 -6.689 -0.429
P 0.053 -8.465 -0.529
O 1.280 -9.119 0.141
C 0.186 -5.979 0.828
O -0.133 -6.779 1.990
C -1.573 -6.905 2.001
N -2.648 -7.466 2.103
H 1.711 -5.063 4.269
H 1.984 -3.279 4.625
H 2.717 -4.118 3.053
H -1.012 -1.773 1.867
H -0.752 -1.595 3.770
H 0.616 -1.281 2.581
H 0.709 0.721 -0.737
H 1.484 -0.307 -2.098
H -0.907 -0.243 -3.350
H -1.555 0.795 -1.953
H 0.609 2.473 -2.691
H -0.959 2.451 -3.809
H 0.688 -6.517 -2.611
H -0.115 -8.794 -1.912
H -1.106 -8.912 0.180
C 6.069 3.650 -1.688
C 4.756 3.245 -2.322
C 3.933 4.406 -2.795
O 2.606 3.899 -2.697
C 2.623 2.947 -1.726
The reader should search the rows above for the word "computed" and type out each line that has it.
An isolated molecule of C4H7P in a non-equilibrium geometry, computed with ωB97M-V with the def2-TZVPD basis set.